Tuesday, March 24, 2009

Bike miles pass Running Miles

for the first time this year, my biking miles are more than my running miles:

Run: 322
Bike: 353

Courtesy of 44 miles today including Montebello and Redwood Gulch

I suspect that trend will continue

Monday, March 23, 2009

Another Benchmark Workout

Run results for 20 minute TT

Course: Home to Almaden Los Gatos Blvd, 7:30 PM
First 10 min - 1.24 miles; AHR ~140
Second 10 min - 1.3 miles (7:45 pace); AHR ~ 150
Third 20 min - 2.88 miles (6:56 pace); AHR ~ 155

Decent pace, seems like heart rate isn't that high
Maybe by running in the dark I limited my speed?

Sunday, March 22, 2009

good swim workout

While I'm not really in the habit of posting the details of my workouts, I liked the way this swim went, and since it's kind of a benchmark workout I figured I'd post it for posterity. I'm not swimming much, maybe once a week. I am trying to up that a bit but since I do it ad hoc I don't have a schedule to fall back on when I don't feel like swimming. So I blow it off. I usually make up my workouts on the way to the pool. Typically I have a 2000 yard minimum and 2100 maximum - sounds like another barrier I need to break through eh? Today was 2,200 yards (!!)with 500 warmup, 500 with a pull-buoy and paddles, and then 10 x 100 descending splits and 200 warm down. The pull buoy 500 was good, I was shooting for 8 minutes and did it in about 7:45. The 10x100 was tougher. I had to remember to go easy on the first one, last time I did this I started at 1:31 and couldn't really do much better. Here are the splits:
1:32.5 (I lengthened my stroke here and went faster without much effort - interesting)
1:32.46 (still going down, if barely!)
1:25.2 (cranked up to 90%)
1:23.2 (gave it whatever I had left)

Just over 1:30 for an average.

Pretty satisfying to see that progression.

Saturday, March 14, 2009

Do you have the signs? PMD

If you have postmarathon depression, you have had five or more depressive symptoms (including one of the first two listed below) for most of the past 2 weeks, including:
Inability to look at, let alone put on your running shoes
Lack of concern about the moldy marathon day gear still sitting on your hardwood floor.
Loss of pleasure in all or almost all of your exercise choices.
Appetite change-usually a need to keep eating well past your full point, with a focus on fats, simple carbohydrates, chocolate, and alcohol (usually a lot of beer, often in place of your morning run).
Significant (like 5 pounds) weight gain.
Depressed mood-tearfulness, hopelessness, and feeling empty inside, with or without severe anxiety.
Trouble waking up, even at noon.
Noticeable change in how you walk and talk-usually limping and sluggish.
An inability to hold, cuddle or clean your finisher's medal
Feelings of worthlessness or guilt, based on your complete and utter 4 month focus on preparation to the detriment of all other activities, work, friends and family.
Considering running in the Clydesdale/Athena class in your next race.
Difficulty concentrating and making decisions, especially if you are trying to pick your next event.
Dry heaves at the mere mention of the word "Gu."

While marathon programs cover in great detail your training plans, pre-race nutrition, taper, and race plans, they are woefully short on addressing the runner's post race needs. Frankly, the only know remedies are either 1) swearing off marathons, in writing or 2) hitting the trails as soon as your legs say yes.

How do you deal with PMD?

Tuesday, March 10, 2009

Runnin' for nothin'

I thought it would be a great break to just go for a run without any pace goal, distance requirement, or purpose in my overall plan. Mentally, I needed an easy run. I am very pleased with the how the Furman Method worked out for me: by reducing my running schedule to three days a week, making every run count (1 long, 1 temp, and one track session each week), and mixing in two days of cross-training the training was very efficient if not voluminous. I only felt over-trained when I got off the schedule by racing, and I never felt injured. I was on the 3:30 program and came up a little short of that, but it wouldn't be fair to attribute that to the program: I got into it in week 6 and like i said I also raced when I shouldn't have.

What the program lacks (duh!) is the relaxing, run how you feel element that all runners appreciate. So yesterday was my first chance to relax and enjoy a nice trail run.

Sounds good in theory, but in practice the muscle soreness started to come back after a couple hills, and I realized that I'm still in recovery mode. Or maybe it was the 60 mile ride with Chris and Jason over the weekend? Either way, I'm still sore and not ready for any serious running. I covered about 6 miles in Quicksilver at a decent pace, but I had to back off towards the end. good to know that I really did empty the bucket...

What a great time to run now though. It's chilly (sub 50 at noon today) but the valley air is clean, the rains have done a number on the hills, and everything is really beautiful right now. Get thee to a trail immediately.

Wednesday, March 4, 2009

Post Napa

It's Wednesday and my legs are feeling reasonable. Justine and I (and Pepi) hiked up Sierra Azul and I added a mile very sloooow on the treadmill, and everything feels OK. I'm looking forward to getting back to running and setting a new goal, not sure yet what it will be.

This, by the way, is my official finishing shot. Seriously, did nobody think to move the yellow and orange pylons out of the shot?

Marathons are funny, everyone has a different experience and a different feeling afterwards. I talked to two different people who were on the course for the exact same amount of time, one loved it, one hated it. Justine said and I agree that it's a real shame to train for something so long and then leave it feeling unsatisfied or unhappy - I've been there and it sucks. It's a long day out there and there is always something you know you could have done better, but it's not like a hundred yard dash where you don't decide anything, you just go. With the marathon, for me each step feels like a decision: push now or hold back? run the hill hard? Run the downhill hard? Stop for the restroom? Man, all day it's one thing after another, and if you make the wrong decision at mile 2 you pay for it at mile 22.

As a runner gains experience they learn to concentrate and recognize what to do and when, but when you blow it you have regrets.

Speaking of experience... major shorts dilemna prior to the race. I have been running in the compression shorts throughout training, but if you'll notice I have a custom singlet on. One of the SJFit crew designed the shirts and had them printed, so most of us raced in them. Problem was that between the shirt and shorts there was just an alarming amount of tightness and my stylistas agreed that I looked a little weird.. So I went a little old school and threw on racing shorts over the compression shorts in a minimal gesture of modesty. It was a compromise, functional enough yet discrete enough. For weight savings I ripped out the inner liner in the race shorts, not really needed with the tights and all.

There was a lot of complaining about the weather, which indeed was bad. But to be honest it didn't bother me. Some wore jackets or even trash bags the entire race (one guy I passed was all flushed and over-heated and yet still had his trash bag on). I went with short and tank top. I doubt you can see too well from this shot, but there were points where it was dumping.

Anyway the point is that everyone has a different day, some feel great, some suck wind. I've been on both sides. Feeling great is better.

Tuesday, March 3, 2009

Here the text breaks off for crystal structures:
/*
[1]
A geometry-optimized AcNd8Tm3 structure. Source: the Alexandria database, functional GGA-PBE.

Lattice parameters (Å, degrees): 8.891 8.891 8.891 135.93 98.65 97.54
Element x y z (fractional)
Ac: 0.000 0.000 0.000
Nd: 0.083 0.256 0.827
Nd: 0.281 0.227 0.507
Nd: 0.281 0.773 0.054
Nd: 0.429 0.256 0.173
Nd: 0.571 0.744 0.827
Nd: 0.719 0.227 0.946
Nd: 0.719 0.773 0.493
Nd: 0.917 0.744 0.173
Tm: 0.287 0.787 0.500
Tm: 0.500 0.500 0.000
Tm: 0.713 0.213 0.500

Values from the calculation:
Calculated total energy   -4.292 eV per atom
SG   Immm (71)
Total magnetic moment   0.00 μB/f.u.

[2]
A geometry-optimized Li2NdSn structure. Source: the Alexandria database, functional GGA-PBE.

Lattice parameters (Å, degrees): 4.510 4.510 4.919 90.00 90.00 90.00
Element x y z (fractional)
Li: 0.000 0.500 0.000
Li: 0.500 0.000 0.000
Nd: 0.000 0.000 0.500
Sn: 0.500 0.500 0.500

Values from the calculation:
Calculated total energy   -3.473 eV per atom
SG   P4/mmm (123)
Total magnetic moment   0.00 μB/f.u.

[3]
A geometry-optimized TaTi2Al5Rh2 structure. Source: the Alexandria database, functional GGA-PBE.

Lattice parameters (Å, degrees): 8.817 8.817 4.079 90.00 90.00 90.00
Element x y z (fractional)
Ta: 0.000 0.000 0.000
Ta: 0.500 0.500 0.000
Ti: 0.175 0.325 0.000
Ti: 0.325 0.825 0.000
Ti: 0.675 0.175 0.000
Ti: 0.825 0.675 0.000
Al: 0.000 0.500 0.500
Al: 0.070 0.794 0.500
Al: 0.206 0.070 0.500
Al: 0.294 0.570 0.500
Al: 0.430 0.294 0.500
Al: 0.500 0.000 0.500
Al: 0.570 0.706 0.500
Al: 0.706 0.430 0.500
Al: 0.794 0.930 0.500
Al: 0.930 0.206 0.500
Rh: 0.124 0.624 0.000
Rh: 0.376 0.124 0.000
Rh: 0.624 0.876 0.000
Rh: 0.876 0.376 0.000

Values from the calculation:
Calculated total energy   -6.693 eV per atom
SG   P4/mbm (127)
Total magnetic moment   0.00 μB/f.u.

[4]
A geometry-optimized YTi3Al structure. Source: the Alexandria database, functional GGA-PBE.

Lattice parameters (Å, degrees): 4.802 4.802 4.802 90.00 90.00 90.00
Element x y z (fractional)
Y: 0.000 0.000 0.000
Ti: 0.000 0.000 0.500
Ti: 0.000 0.500 0.000
Ti: 0.500 0.000 0.000
Al: 0.500 0.500 0.500

Values from the calculation:
Calculated total energy   -5.334 eV per atom
SG   Pm-3m (221)
Total magnetic moment   1.53 μB/f.u.

[5]
A geometry-optimized Te2OsRh structure. Source: the Alexandria database, functional GGA-PBE.

Lattice parameters (Å, degrees): 8.228 8.228 8.228 23.29 23.29 23.29
Element x y z (fractional)
Te: 0.250 0.250 0.250
Te: 0.750 0.750 0.750
Os: 0.500 0.500 0.500
Rh: 0.000 0.000 0.000

Values from the calculation:
SG   R-3m (166)
Total magnetic moment   0.00 μB/f.u.
E_form (uncorrected)   417.7 meV/atom

[6]
A geometry-optimized AcLuTlCu structure. Source: the Alexandria database, functional GGA-PBE.

Lattice parameters (Å, degrees): 5.402 5.402 5.402 60.00 60.00 60.00
Element x y z (fractional)
Ac: 0.000 0.000 0.000
Lu: 0.500 0.500 0.500
Tl: 0.750 0.750 0.750
Cu: 0.250 0.250 0.250

Values from the calculation:
Calculated total energy   -3.920 eV per atom
SG   F-43m (216)
*/

Napa Valley Marathon 2009 data

I charted and graphed my mile splits to get a sense for the race. The data is a little hard to see in this format, but what you are looking at is as follows:

Red columns are my mile splits
Green Line is my overall adjusted pace trend (i.e. what direction was my overall pace trending at each mile)
Blue Line is cumulative time
X-axis shows miles

Final Time = 3:36:47

Pace: 8:15

For comparison I charted my 2000 Silicon Valley Marathon data.

Final Time: 3:24:32

Pace: 7:48

Besides the obvious pace difference, I think I ran the 2000 race a bit more evenly, but that makes sense since the course was dead flat whereas Napa was bumpt at the end after downhills in the beginning. At Napa I didn't need to stop at all, but I did walk about 20 seconds through the last 3 water stops, so that affects the pace at the end.

One last chart. This one compares my average pace across three different races, SF 2000 (red)(notice the big drop-off at the end) SVM 2000 (green), and Napa 2009 (blue):

Sunday, March 1, 2009

Napa Valley marathon, the short report

Not everybody needs the data-crunching, blow by blow detail, so here's the short of it:

Race conditions: Wet, rained the whole race, temperature probably 57 degrees all day
Race Result: 3:36 and change
Subjective Analysis: I feel really happy with the race. My plan was to run about 1:43 in the first half, and I was a bit behind pace at 1:44 +; The overall goal was 3:30 but my realistic goal was 3:30 to 3:40 and I hit that. Since this is my first hard race since 2002 (I have a hard time believing it's been so long) I wanted to see whether I'd learned anything, and indeed I have. It was one of the best final 6 miles I've ever strung together, never dipping much below an 8:30 pace, never stopping, and even throwing in some crazy surges. According to my Garmin i was below 7 min/mile more than once towards the end.
Key Learnings: 1) Nutrition is key: I consumed a salt stick tab every 45 minuets and didn't cramp; I consumed 4-5 gels and ~400 calories worth of Accelerade and Sports Drink; Pepsi Rocks! I drank a flat Pepsi prior at mile 18, and it hit me at mile 22 and i picked up my pace probably a minute/mile for a bit; 2) Intervals are good training: I definitely benefited from my track work, especially at the end where I relied on my new found ability to ignore pain and keep grinding; 3) more Tempo woulda' helped - I think i coulda' used more temp running
Negatives?: Improvement is always out there. Overall i need to just keep running and building my base consistently if I want to get back to and below my old times. Key here will be volume and consistency, and setting the next goal which I haven't done yet.

Number crunching will follow.